**Assignment:**
Could you retype only the lines further down with the word "Ho9" in them?

**Input:**
No. 1
For HoPuSc14, a crystal structure in Alexandria, relaxed with GGA-PBE gives the calculated X-ray powder pattern in this record (Cu Kα (λ = 1.5418 Å)).

Cell and atoms:
a b c (Å): 10.2781 6.4093 6.4093
angles (deg): 70.53 90.00 90.00
Element x y z (fractional)
Ho1 0.0000 0.0000 0.0000
Pu1 0.0000 0.5451 0.5451
Sc1 0.0000 0.0609 0.4841
Sc2 0.0000 0.4841 0.0609
Sc3 0.2365 0.7542 0.7542
Sc4 0.2542 0.2691 0.6949
Sc5 0.2542 0.6949 0.2691
Sc6 0.2683 0.2082 0.2082
Sc7 0.5000 0.4146 0.4146
Sc8 0.5000 0.4831 0.9004
Sc9 0.5000 0.9004 0.4831
Sc10 0.5000 0.9620 0.9620
Sc11 0.7317 0.2082 0.2082
Sc12 0.7458 0.2691 0.6949
Sc13 0.7458 0.6949 0.2691
Sc14 0.7635 0.7542 0.7542

Main lines, in order of falling intensity (2θ = 5–70°):
34.4°, I = 100; 8.6°, I = 64; 34.9°, I = 32; 30.8°, I = 29; 19.0°, I = 23; 17.0°, I = 19; 35.4°, I = 18; 17.3°, I = 16; 62.3°, I = 15; 39.8°, I = 15

No. 2
For Er4SbIr2, a crystal structure in Alexandria, relaxed with GGA-PBE gives the calculated X-ray powder pattern in this record (Cu Kα (λ = 1.5418 Å)).

Cell and atoms:
a b c (Å): 7.9982 7.9982 7.9982
angles (deg): 111.03 110.98 106.45
Element x y z (fractional)
Er1 0.2250 0.2904 0.5654
Er2 0.2250 0.6595 0.9346
Er3 0.2905 0.2250 0.0655
Er4 0.3405 0.7750 0.5655
Er5 0.6595 0.2250 0.4345
Er6 0.7095 0.7750 0.9345
Er7 0.7750 0.3405 0.0654
Er8 0.7750 0.7096 0.4346
Sb1 0.1246 0.8746 0.2500
Sb2 0.8754 0.1254 0.7500
Ir1 0.0000 0.5000 0.5000
Ir2 0.5000 0.0000 0.0000
Ir3 0.5000 0.5000 0.0000
Ir4 0.5000 0.5000 0.5000

Main lines, in order of falling intensity (2θ = 5–70°):
37.0°, I = 100; 29.7°, I = 88; 27.9°, I = 87; 13.5°, I = 62; 47.4°, I = 62; 39.8°, I = 44; 46.0°, I = 43; 37.6°, I = 25; 19.6°, I = 21; 58.6°, I = 21

No. 3
For Nd3Ho6Tl, a crystal structure in Alexandria, relaxed with GGA-PBE gives the calculated X-ray powder pattern in this record (Cu Kα (λ = 1.5418 Å)).

Cell and atoms:
a b c (Å): 12.8231 3.5163 14.3631
angles (deg): 90.00 101.10 90.00
Element x y z (fractional)
Nd1 0.0760 0.2500 0.1011
Nd2 0.3674 0.7500 0.4942
Nd3 0.4218 0.2500 0.9020
Nd4 0.5782 0.7500 0.0980
Nd5 0.6326 0.2500 0.5058
Nd6 0.9240 0.7500 0.8989
Ho1 0.1082 0.2500 0.4592
Ho2 0.1906 0.7500 0.9213
Ho3 0.2267 0.7500 0.2836
Ho4 0.2428 0.7500 0.6873
Ho5 0.3429 0.2500 0.1176
Ho6 0.4881 0.2500 0.6904
Ho7 0.5119 0.7500 0.3096
Ho8 0.6571 0.7500 0.8824
Ho9 0.7572 0.2500 0.3127
Ho10 0.7733 0.2500 0.7164
Ho11 0.8094 0.2500 0.0787
Ho12 0.8918 0.7500 0.5408
Tl1 0.0358 0.2500 0.7254
Tl2 0.9642 0.7500 0.2746

Main lines, in order of falling intensity (2θ = 5–70°):
31.8°, I = 100; 31.0°, I = 62; 30.4°, I = 47; 33.3°, I = 40; 33.4°, I = 37; 37.0°, I = 28; 61.8°, I = 18; 49.6°, I = 18; 52.0°, I = 17; 57.7°, I = 14

No. 4
For Rb3Ti3NiS8, a crystal structure in Alexandria, relaxed with GGA-PBE gives the calculated X-ray powder pattern in this record (Cu Kα (λ = 1.5418 Å)).

Cell and atoms:
a b c (Å): 8.7692 8.7692 8.7692
angles (deg): 48.23 48.23 48.23
Element x y z (fractional)
Rb1 0.0000 0.5000 0.5000
Rb2 0.5000 0.0000 0.5000
Rb3 0.5000 0.5000 0.0000
Ti1 0.0000 0.0000 0.5000
Ti2 0.0000 0.5000 0.0000
Ti3 0.5000 0.0000 0.0000
Ni1 0.5000 0.5000 0.5000
S1 0.2245 0.7233 0.7233
S2 0.2267 0.2267 0.2267
S3 0.2767 0.2767 0.7755
S4 0.2767 0.7755 0.2767
S5 0.7233 0.2245 0.7233
S6 0.7233 0.7233 0.2245
S7 0.7733 0.7733 0.7733
S8 0.7755 0.2767 0.2767

Main lines, in order of falling intensity (2θ = 5–70°):
32.7°, I = 100; 51.0°, I = 30; 42.7°, I = 29; 23.0°, I = 17; 34.8°, I = 17; 14.8°, I = 16; 49.0°, I = 15; 61.9°, I = 14; 29.8°, I = 13; 63.7°, I = 11

No. 5
For CsNaPuBr6, a crystal structure in Alexandria, relaxed with GGA-PBE gives the calculated X-ray powder pattern in this record (Cu Kα (λ = 1.5418 Å)).

Cell and atoms:
a b c (Å): 7.5728 7.5728 16.0018
angles (deg): 90.00 90.00 120.00
Element x y z (fractional)
Cs1 0.0000 0.0000 0.0000
Cs2 0.0000 0.0000 0.5000
Na1 0.3333 0.6667 0.2500
Na2 0.6667 0.3333 0.7500
Pu1 0.3333 0.6667 0.7500
Pu2 0.6667 0.3333 0.2500
Br1 0.0243 0.3804 0.6493
Br2 0.0243 0.6439 0.8507

**Response:**
Ho9 0.7572 0.2500 0.3127